Material:
┌──
[1]
Compound: Li3Cr2P5O16
Source: the Materials Project
Functional: GGA+U
Structure: relaxed

a = 7.0952 Å, b = 5.1374 Å, c = 17.7851 Å
α = 88.24°, β = 90.00°, γ = 90.00°
With the nearest neighbours (Å) after each atom.
Element x y z (fractional)
Li 0.3285 0.7355 0.0371  4 O 2.01-2.25
Li 0.6715 0.2645 0.9629  4 O 2.01-2.25
Li 0.0239 0.5000 0.7500  4 O 2.05-2.12
Li 0.6715 0.7355 0.5371  4 O 2.01-2.25
Li 0.3285 0.2645 0.4629  4 O 2.01-2.25
Li 0.9761 0.5000 0.2500  4 O 2.05-2.12
Cr 0.1674 0.2612 0.9125  4 O 2.05-2.17
Cr 0.1674 0.7388 0.5875  4 O 2.05-2.17
Cr 0.8326 0.2612 0.4125  4 O 2.05-2.17
Cr 0.8326 0.7388 0.0875  4 O 2.05-2.17
P 0.8695 0.2202 0.5919  4 O 1.51-1.65
P 0.4668 0.2723 0.6238  4 O 1.50-1.61
P 0.2461 0.0000 0.7500  4 O 1.51-1.59
P 0.4668 0.7277 0.8762  4 O 1.50-1.61
P 0.1305 0.2202 0.0919  4 O 1.51-1.65
P 0.5332 0.2723 0.1238  4 O 1.50-1.61
P 0.7539 0.0000 0.2500  4 O 1.51-1.59
P 0.8695 0.7798 0.9081  4 O 1.51-1.65
P 0.1305 0.7798 0.4081  4 O 1.51-1.65
P 0.5332 0.7277 0.3762  4 O 1.50-1.61
O 0.8059 0.3785 0.5209  1 P 1.55
O 0.9080 0.0661 0.9261  1 P 1.54
O 0.3930 0.9001 0.9364  1 P 1.50
O 0.8059 0.6215 0.9791  1 P 1.55
O 0.1941 0.3785 0.0209  1 P 1.55
O 0.6070 0.0999 0.0636  1 P 1.50
O 0.0920 0.9339 0.0739  1 P 1.54
O 0.5595 0.5635 0.1094  1 P 1.52
O 0.9863 0.3562 0.1396  1 P 1.51
O 0.3194 0.2112 0.1457  2 P 1.60-1.65
O 0.8633 0.8265 0.1989  1 P 1.51
O 0.6173 0.1943 0.2053  2 P 1.59-1.61
O 0.6173 0.8057 0.2947  2 P 1.59-1.61
O 0.8633 0.1735 0.3011  1 P 1.51
O 0.3194 0.7888 0.3543  2 P 1.60-1.65
O 0.9863 0.6438 0.3604  1 P 1.51
O 0.5595 0.4365 0.3906  1 P 1.52
O 0.0137 0.6438 0.8604  1 P 1.51
O 0.6070 0.9001 0.4364  1 P 1.50
O 0.1941 0.6215 0.4791  1 P 1.55
O 0.0920 0.0661 0.4261  1 P 1.54
O 0.3930 0.0999 0.5636  1 P 1.50
O 0.9080 0.9339 0.5739  1 P 1.54
O 0.4405 0.5635 0.6094  1 P 1.52
O 0.0137 0.3562 0.6396  1 P 1.51
O 0.6806 0.2112 0.6457  2 P 1.60-1.65
O 0.1367 0.8265 0.6989  1 P 1.51
O 0.3827 0.1943 0.7053  2 P 1.59-1.61
O 0.3827 0.8057 0.7947  2 P 1.59-1.61
O 0.1367 0.1735 0.8011  1 P 1.51
O 0.6806 0.7888 0.8543  2 P 1.60-1.65
O 0.4405 0.4365 0.8906  1 P 1.52

## Properties
E_tot = -7.0779 eV/atom
Formation energy from the elements = -2606 meV/atom

---

[2]
Compound: FeO2
Source: the Materials Project
Functional: GGA+U
Structure: relaxed

a = 5.9181 Å, b = 5.9181 Å, c = 5.9181 Å
α = 120.11°, β = 118.98°, γ = 90.79°
With the nearest neighbours (Å) after each atom.
Element x y z (fractional)
Fe 0.5000 0.0000 0.0000  6 O 1.89-1.98
Fe 0.5000 0.5000 0.0000  6 O 1.99-2.02
Fe 0.0000 0.5000 0.5000  6 O 1.99-2.02
Fe 0.5000 0.5000 0.5000  6 O 1.89-1.98
O 0.2729 0.7489 0.9760  3 Fe 1.89-2.02
O 0.7082 0.7386 0.9696  3 Fe 1.98-1.99
O 0.2729 0.2970 0.5240  3 Fe 1.89-2.02
O 0.2689 0.7386 0.5304  3 Fe 1.98-1.99
O 0.7271 0.7030 0.4760  3 Fe 1.89-2.02
O 0.7311 0.2614 0.4696  3 Fe 1.98-1.99
O 0.2918 0.2614 0.0304  3 Fe 1.98-1.99
O 0.7271 0.2511 0.0240  3 Fe 1.89-2.02

## Properties
E_tot = -6.0764 eV/atom
Formation energy from the elements = -1164 meV/atom

---

[3]
Compound: Sr4FeMoO8
Source: the Materials Project
Functional: GGA+U
Structure: relaxed

a = 6.9908 Å, b = 6.9908 Å, c = 5.6619 Å
α = 90.00°, β = 90.00°, γ = 132.85°
With the nearest neighbours (Å) after each atom.
Element x y z (fractional)
Sr 0.3518 0.6482 0.0000  1 O 2.44
Sr 0.8538 0.1462 0.5000  5 O 2.47-2.74
Sr 0.1462 0.8538 0.5000  5 O 2.47-2.74
Sr 0.6482 0.3518 0.0000  1 O 2.44
Fe 0.0000 0.0000 0.0000  6 O 2.01-2.07
Mo 0.5000 0.5000 0.5000  6 O 1.97-2.07
O 0.1612 0.8388 0.0000  1 Fe 2.07
O 0.6613 0.3387 0.5000  1 Mo 2.07
O 0.3387 0.6613 0.5000  1 Mo 2.07
O 0.8388 0.1612 0.0000  1 Fe 2.07
O 0.2543 0.2543 0.2509  1 Mo 1.97, 1 Fe 2.01
O 0.7457 0.7457 0.7491  1 Mo 1.97, 1 Fe 2.01
O 0.2543 0.2543 0.7491  1 Mo 1.97, 1 Fe 2.01
O 0.7457 0.7457 0.2509  1 Mo 1.97, 1 Fe 2.01

## Properties
E_tot = -6.6139 eV/atom
Formation energy from the elements = -2707 meV/atom

---

[4]
Compound: SrLaNiRuO6
Source: the Materials Project
Functional: GGA+U
Structure: relaxed
└──

Request:
Now quote the contents above from the line with "0.8695 0.7798" to the end verbatim.

Worked solution:
P 0.8695 0.7798 0.9081  4 O 1.51-1.65
P 0.1305 0.7798 0.4081  4 O 1.51-1.65
P 0.5332 0.7277 0.3762  4 O 1.50-1.61
O 0.8059 0.3785 0.5209  1 P 1.55
O 0.9080 0.0661 0.9261  1 P 1.54
O 0.3930 0.9001 0.9364  1 P 1.50
O 0.8059 0.6215 0.9791  1 P 1.55
O 0.1941 0.3785 0.0209  1 P 1.55
O 0.6070 0.0999 0.0636  1 P 1.50
O 0.0920 0.9339 0.0739  1 P 1.54
O 0.5595 0.5635 0.1094  1 P 1.52
O 0.9863 0.3562 0.1396  1 P 1.51
O 0.3194 0.2112 0.1457  2 P 1.60-1.65
O 0.8633 0.8265 0.1989  1 P 1.51
O 0.6173 0.1943 0.2053  2 P 1.59-1.61
O 0.6173 0.8057 0.2947  2 P 1.59-1.61
O 0.8633 0.1735 0.3011  1 P 1.51
O 0.3194 0.7888 0.3543  2 P 1.60-1.65
O 0.9863 0.6438 0.3604  1 P 1.51
O 0.5595 0.4365 0.3906  1 P 1.52
O 0.0137 0.6438 0.8604  1 P 1.51
O 0.6070 0.9001 0.4364  1 P 1.50
O 0.1941 0.6215 0.4791  1 P 1.55
O 0.0920 0.0661 0.4261  1 P 1.54
O 0.3930 0.0999 0.5636  1 P 1.50
O 0.9080 0.9339 0.5739  1 P 1.54
O 0.4405 0.5635 0.6094  1 P 1.52
O 0.0137 0.3562 0.6396  1 P 1.51
O 0.6806 0.2112 0.6457  2 P 1.60-1.65
O 0.1367 0.8265 0.6989  1 P 1.51
O 0.3827 0.1943 0.7053  2 P 1.59-1.61
O 0.3827 0.8057 0.7947  2 P 1.59-1.61
O 0.1367 0.1735 0.8011  1 P 1.51
O 0.6806 0.7888 0.8543  2 P 1.60-1.65
O 0.4405 0.4365 0.8906  1 P 1.52

## Properties
E_tot = -7.0779 eV/atom
Formation energy from the elements = -2606 meV/atom

---

[2]
Compound: FeO2
Source: the Materials Project
Functional: GGA+U
Structure: relaxed

a = 5.9181 Å, b = 5.9181 Å, c = 5.9181 Å
α = 120.11°, β = 118.98°, γ = 90.79°
With the nearest neighbours (Å) after each atom.
Element x y z (fractional)
Fe 0.5000 0.0000 0.0000  6 O 1.89-1.98
Fe 0.5000 0.5000 0.0000  6 O 1.99-2.02
Fe 0.0000 0.5000 0.5000  6 O 1.99-2.02
Fe 0.5000 0.5000 0.5000  6 O 1.89-1.98
O 0.2729 0.7489 0.9760  3 Fe 1.89-2.02
O 0.7082 0.7386 0.9696  3 Fe 1.98-1.99
O 0.2729 0.2970 0.5240  3 Fe 1.89-2.02
O 0.2689 0.7386 0.5304  3 Fe 1.98-1.99
O 0.7271 0.7030 0.4760  3 Fe 1.89-2.02
O 0.7311 0.2614 0.4696  3 Fe 1.98-1.99
O 0.2918 0.2614 0.0304  3 Fe 1.98-1.99
O 0.7271 0.2511 0.0240  3 Fe 1.89-2.02

## Properties
E_tot = -6.0764 eV/atom
Formation energy from the elements = -1164 meV/atom

---

[3]
Compound: Sr4FeMoO8
Source: the Materials Project
Functional: GGA+U
Structure: relaxed

a = 6.9908 Å, b = 6.9908 Å, c = 5.6619 Å
α = 90.00°, β = 90.00°, γ = 132.85°
With the nearest neighbours (Å) after each atom.
Element x y z (fractional)
Sr 0.3518 0.6482 0.0000  1 O 2.44
Sr 0.8538 0.1462 0.5000  5 O 2.47-2.74
Sr 0.1462 0.8538 0.5000  5 O 2.47-2.74
Sr 0.6482 0.3518 0.0000  1 O 2.44
Fe 0.0000 0.0000 0.0000  6 O 2.01-2.07
Mo 0.5000 0.5000 0.5000  6 O 1.97-2.07
O 0.1612 0.8388 0.0000  1 Fe 2.07
O 0.6613 0.3387 0.5000  1 Mo 2.07
O 0.3387 0.6613 0.5000  1 Mo 2.07
O 0.8388 0.1612 0.0000  1 Fe 2.07
O 0.2543 0.2543 0.2509  1 Mo 1.97, 1 Fe 2.01
O 0.7457 0.7457 0.7491  1 Mo 1.97, 1 Fe 2.01
O 0.2543 0.2543 0.7491  1 Mo 1.97, 1 Fe 2.01
O 0.7457 0.7457 0.2509  1 Mo 1.97, 1 Fe 2.01

## Properties
E_tot = -6.6139 eV/atom
Formation energy from the elements = -2707 meV/atom

---

[4]
Compound: SrLaNiRuO6
Source: the Materials Project
Functional: GGA+U
Structure: relaxed